Learn the secrets behind
powerful and unforgettable
residency interviews
straight from the experts.
Learn our simple, straightforward, step-by-step approach to the major residency interview questions
Receive clear explanations and before-and-after videos. No more worrying about where to start or what to say.
Learn how to craft powerful, unique responses. No more concerns about sounding like every other applicant.
Learn how to craft unforgettable responses. Because the stakes are too high for you to bring anything but your best.
Inserted here: records of crystals:
<<<
K3YN6: theoretical X-ray powder pattern (a wavelength of 1.5418 Å), based on a cell relaxed with PBE.
Neutral-atom scattering factors, no anomalous dispersion.

Structure:
a = 7.869 Å, b = 7.869 Å, c = 7.869 Å
α = 91.71°, β = 91.71°, γ = 91.71°
Positions (direct):
K 0.000 0.347 0.653
K 0.155 0.845 0.500
K 0.347 0.653 0.000
K 0.500 0.155 0.845
K 0.653 0.000 0.347
K 0.845 0.500 0.155
Y 0.248 0.248 0.248
Y 0.752 0.752 0.752
N 0.027 0.690 0.816
N 0.184 0.310 0.973
N 0.190 0.525 0.316
N 0.310 0.973 0.184
N 0.316 0.190 0.525
N 0.475 0.810 0.684
N 0.525 0.316 0.190
N 0.684 0.475 0.810
N 0.690 0.816 0.027
N 0.810 0.684 0.475
N 0.816 0.027 0.690
N 0.973 0.184 0.310

Main lines, low angle first (2θ from 10° to 90°):
- 16.2°, I = 100.0
- 22.6°, I = 28.1
- 25.6°, I = 33.5
- 27.4°, I = 66.8
- 35.8°, I = 25.4
- 36.5°, I = 27.1
- 37.9°, I = 44.3
- 44.1°, I = 20.6
- 52.7°, I = 19.0
- 56.5°, I = 17.0

----------

(1)
Diffraction record for RbPu2RhS4. The X-ray powder pattern is theoretical, not measured: it uses a PBE-relaxed structure and Cu Ka.

Crystal structure
```
RbPu2RhS4
1.0
1.970 -6.952 0.000
1.970 6.952 0.000
0.000 0.000 13.820
Rb Pu Rh S
2 4 2 8
direct
0.105 0.895 0.750
0.895 0.105 0.250
0.366 0.634 0.561
0.366 0.634 0.939
0.634 0.366 0.061
0.634 0.366 0.439
0.168 0.832 0.250
0.832 0.168 0.750
0.000 0.000 0.000
0.000 0.000 0.500
0.261 0.739 0.104
0.261 0.739 0.396
0.421 0.579 0.750
0.579 0.421 0.250
0.739 0.261 0.604
0.739 0.261 0.896
```

Top 10 peaks for 2θ = 10–80°, most intense first:
d 2.753, I 100.0
d 2.036, I 83.3
d 2.930, I 82.2
d 3.840, I 79.5
d 6.211, I 71.9
d 3.323, I 63.2
d 3.476, I 53.8
d 2.568, I 45.1
d 6.923, I 37.2
d 1.970, I 32.8


(2)
Diffraction record for Rb4PuS4. The X-ray powder pattern is theoretical, not measured: it uses a PBE-relaxed structure and Cu Ka.

Crystal structure
```
Rb4PuS4
1.0
-3.975 3.975 6.838
3.975 -3.975 6.838
3.975 3.975 -6.838
Rb Pu S
4 1 4
direct
0.000 0.500 0.500
0.204 0.204 0.000
0.500 0.000 0.500
0.796 0.796 0.000
0.500 0.500 0.000
0.204 0.580 0.000
0.420 0.420 0.623
0.580 0.204 0.000
0.796 0.796 0.377
```

Top 10 peaks for 2θ = 10–80°, most intense first:
d 6.863, I 100.0
d 2.807, I 85.9
d 3.955, I 46.7
d 3.975, I 46.7
d 2.592, I 42.1
d 3.439, I 31.1
d 5.622, I 28.7
d 1.777, I 27.1
d 1.986, I 24.0
d 1.578, I 17.9


(3)
Diffraction record for Rb2PuSbS4. The X-ray powder pattern is theoretical, not measured: it uses a PBE-relaxed structure and Cu Ka.

Crystal structure
```
Rb2PuSbS4
1.0
-4.230 6.313 4.613
4.230 -6.313 4.613
4.230 6.313 -4.613
Rb Pu Sb S
4 2 2 8
direct
0.000 0.000 0.000
0.000 0.500 0.500
0.005 0.997 0.508
0.489 0.497 0.492
0.526 0.026 0.500
0.526 0.526 0.000
0.112 0.580 0.031
0.549 0.080 0.969
0.276 0.525 0.800
0.276 0.976 0.252
0.293 0.561 0.233
0.328 0.061 0.767
0.713 0.465 0.748
0.717 0.965 0.252
0.724 0.025 0.748
0.724 0.476 0.200
```

Top 10 peaks for 2θ = 10–80°, most intense first:
d 3.118, I 100.0
d 7.450, I 70.4
d 2.218, I 65.3
d 3.725, I 56.6
d 3.514, I 54.6
d 3.157, I 51.9
>>>
What Applicants Have to Say
I was applying for Dermatology, and at every point in the process I could feel how intense the competition was. I was thrilled to get 6 interviews, but I also knew that I was up against some amazing applicants, so I wanted to make sure I did everything I could to set myself apart from the competition. The course really helped, and I even had one of my interviewers tell me that my response to what are your strengths was just great. The time that I invested in going through the course really paid off.
— Current Dermatology Resident
I had failed to match in previous cycles, so I was so excited when I received two Family Practice interview invites. One of my classmates highly recommended this interview course, and said that it had helped him, so I signed up. I was really glad I did. Before, I was spending a LOT of time going through posts and videos online. I thought that was interview prep, but after I went through the course I realized that a lot of the advice from the blogs and videos was really generic, and actually made you sound like every other applicant. With the help of the course, I was able to develop really strong and unique responses, and I know that that made all the difference.
— Current Family Practice Resident
When I was applying for ENT, I was thrilled to get interviews, but knowing how competitive ENT was, I didn’t want to take any chances. (I knew upperclassman who had gone on multiple interviews, and still failed to match in the previous two years.) I worked really hard on the questions, trying to make sure my responses would help me stand out, which is where this course really helped. Match day was great-because I found out that I matched at my #1 choice!
— Current ENT Resident
This course was excellent. As an IMG who received an interview from one of my dream internal medicine programs, I wanted to make sure I made the most of this opportunity. The course helped so much: it showed me how to highlight my strengths and prepare memorable responses. I was thrilled to match at my dream program, and I know that my interview performance was a key factor in that.
— Current Internal Medicine Resident, IMG, Top 20 Program
I was nervous going into interviews, because my advisor had told me that my low step score was considered a red flag. I signed up for the residency interview 101 course because I wanted to learn how to address my red flag. The course definitely did that well, but it also showed me how to highlight my strengths, and especially how to highlight how I was a perfect fit for the program. And it worked!
— Current Psychiatry Resident
I was very unsettled entering the interview season because I feared that all applicants could easily sound the same to an interviewer. The course was very thorough and filled with robust examples. It challenged me to speak boldly and confidently about my accomplishments. It taught me how to demonstrate that I was an ideal, unique candidate. Would I recommend this course? Yes!
— Current Family Practice Resident
Pricing & Services
(hover to view)
the average cost of public medical school (four years) in the U.S.
$105,000 (in-state)
$105,000 (in-state)
the average cost of private medical school (four years) in the U.S.
Materials data that have nothing to do with the entry
<<<
No. 1
Computed powder diffractogram
Compound: NaCa6Mg
Radiation: Cu Kα (λ = 1.5418 Å)
Structure: a cell relaxed with PBE

Structural model:
a b c (Å): 10.597 10.597 10.597
angles (deg): 149.42 149.42 43.80
Positions (direct):
Na (0.000, 0.000, 0.000)
Ca (0.111, 0.611, 0.500)
Ca (0.251, 0.251, 0.000)
Ca (0.389, 0.889, 0.500)
Ca (0.611, 0.111, 0.500)
Ca (0.749, 0.749, 0.000)
Ca (0.889, 0.389, 0.500)
Mg (0.500, 0.500, 0.000)

Peak list (10 most intense, 5° ≤ 2θ ≤ 70°, by angle)
2θ (°)	intensity
24.3	76
29.0	1000
32.0	405
36.6	105
42.5	51
45.9	137
49.4	165
55.2	281
60.1	87
61.2	57

=====

No. 2
Computed powder diffractogram
Compound: NaCa6Mg
Radiation: Cu Kα (λ = 1.5418 Å)
Structure: a cell relaxed with PBE

Structural model:
a b c (Å): 6.768 6.779 6.780
angles (deg): 89.91 89.97 89.94
Positions (direct):
Na (0.000, 0.000, 0.000)
Ca (0.001, 0.500, 0.746)
Ca (0.253, 0.000, 0.500)
Ca (0.500, 0.254, 0.000)
Ca (0.500, 0.746, 0.000)
Ca (0.747, 0.000, 0.500)
Ca (0.999, 0.500, 0.254)
Mg (0.500, 0.500, 0.500)

Peak list (10 most intense, 5° ≤ 2θ ≤ 70°, by angle)
2θ (°)	intensity
18.5	72
26.3	215
29.5	1000
32.4	488
46.4	122
48.4	186
50.4	189
54.1	84
62.8	118
62.9	70

=====

No. 3
Computed powder diffractogram
Compound: Na2Ca2Mg
Radiation: Cu Kα (λ = 1.5418 Å)
Structure: a cell relaxed with PBE

Structural model:
a b c (Å): 10.569 10.569 10.569
angles (deg): 156.97 156.97 32.80
Positions (direct):
Na (0.250, 0.750, 0.500)
Na (0.750, 0.250, 0.500)
Ca (0.092, 0.092, 0.000)
Ca (0.908, 0.908, 0.000)
Mg (0.500, 0.500, 0.000)

Peak list (10 most intense, 5° ≤ 2θ ≤ 70°, by angle)
2θ (°)	intensity
21.5	456
24.9	226
26.4	348
30.6	1000
31.2	973
34.9	379
37.7	299
42.9	410
53.6	363
54.7	322

=====

Structure and calculated X-ray powder pattern of Pm2Ni5Pt5 (a structure optimized by DFT (GGA-PBE); Cu Ka).
No peak broadening, texture or thermal motion is included.

Peak list (12 most intense, 2θ from 10° to 90°, by intensity)
2θ = 40.5°, I = 100, hkl 1 1 3
2θ = 41.2°, I = 30, hkl 1 2 0
2θ = 42.7°, I = 30, hkl 2 0 0
2θ = 34.2°, I = 28, hkl 0 1 3
2θ = 35.1°, I = 23, hkl 0 2 0
2θ = 66.6°, I = 22, hkl 1 3 3
2θ = 21.0°, I = 22, hkl 1 0 0
2θ = 19.9°, I = 17, hkl 0 1 1
2θ = 46.0°, I = 17, hkl 1 2 2
2θ = 76.7°, I = 15, hkl 3 1 3
2θ = 87.6°, I = 14, hkl 2 2 6
2θ = 55.8°, I = 14, hkl 2 1 3

Cell and atoms:
```
data_Pm2Ni5Pt5
_chemical_formula_sum 'Pm2 Ni5 Pt5'
_cell_length_a 4.236
_cell_length_b 5.113
_cell_length_c 9.152
_cell_angle_alpha 90.00
_cell_angle_beta 90.00
_cell_angle_gamma 90.00
_space_group_name_H-M_alt 'P m m m'
_space_group_IT_number 47
loop_
_space_group_symop_operation_xyz
'x,y,z'
'-x,-y,-z'
'-x,-y,z'
'x,y,-z'
'x,-y,-z'
'-x,y,z'
'-x,y,-z'
'x,-y,z'
loop_
_atom_site_label
_atom_site_type_symbol
_atom_site_fract_x
_atom_site_fract_y
_atom_site_fract_z
Pm1 Pm 0.000 0.000 0.000
Pm2 Pm 0.000 0.500 0.500
Ni1 Ni 0.500 0.000 0.500
Ni2 Ni 0.500 0.248 0.257
Pt1 Pt 0.000 0.000 0.334
Pt2 Pt 0.000 0.500 0.180
Pt3 Pt 0.500 0.500 0.000
```

=====

[1]
>>>
the cost of the course that will boost your knowledge, confidence, and chances of getting into your dream residency
Receive In-Depth Guidance for Over 25 Common Residency Interview Questions
Tell me about yourself.
What are your strengths?
What is your greatest weakness?
Why did you apply to our residency program?
Why do you want to be a dermatologist?
Why do you want to be an internist and not another healthcare professional?
If you couldn’t get into residency, what would you do instead?
- Where do you see yourself in 15 years?
What do you see as the pros and cons of being a surgeon?
What do you consider to be your greatest achievement?
Icebreaker Questions
Tell me about the particular challenge you encountered.
How do you cope with criticism?
How do you handle conflict?
Tell me about your research.
Tell me about your shadowing experiences.
Tell me about a time when you made a mistake.
Tell me about a time when you had to deal with a classmate who wasn't doing their part.
Tell me about a time when you were disappointed in your performance.
Tell me about a time when you had to build a relationship with someone you did not like.
Tell me about a patient who made an impact on you.
What do you consider to be some of the most pressing health issues today?
What questions do you have for me?
How long will it take to go through the course?It really depends on where you are currently in terms of preparation. Some of our students have completed the course in 1 to 2 weeks of focused work. For students who have already written multiple secondary essays, that work will help speed up the interview preparation process significantly. Another key factor is how many medical schools you will be interviewing with. One key focus of our course is that the best interview responses are those that are targeted to the particular medical school. Multiple medical schools means more time spent researching each school.
How was the course created?Dr. Rajani Katta and Dr. Samir Desai have been medical school faculty for over 20 years and they've written multiple best-selling books in medical education. Using their direct experience interviewing and advising applicants, they created this course to help students quickly and confidently prepare for their interviews. The course, with videos, allowed them to expand on the information found in their books.
Should I do the course or the coaching?Some of our students have completed the course and then decided they could use additional help. Coaching can help identify themes and achievements that would be compelling to an admissions committee. Coaching can also help applicants reduce anxiety and provide important feedback. Having said that, most of our students feel extremely prepared having gone through the course, and most of our students do not require any additional coaching.
Can I share the course?The course is priced for a single user only. Please feel free to share our many free helpful resources, which includes our multiple articles, blog posts, and podcast episodes. However, as this course is priced for a single user only, we rely on our students to abide by this policy. As medical school faculty, we trust that our students, as future physicians, will exhibit the same level of integrity that we expect from physicians.
What if this course isn't for me?No worries! We offer a full money-back guarantee on your purchase within seven days.
Contact Us!
If you have any questions, please contact us via email course@kattamd.com
About the Experts

Dr. Rajani Katta served as Professor of Dermatology at the Baylor College of Medicine for over 17 years.
She served on the residency selection committee, interviewing hundreds of highly qualified dermatology applicants
She is the author of the best-selling books The Medical School Interview and The Successful Match
She is an interview expert and has been featured in multiple national publications and TV appearances, including the New York Times, Oprah Magazine, CNN, Prevention, as well as each of the major news networks
Dr. Samir Desai has served as a faculty member at the Baylor College of Medicine for over 20 years.
........
Record 1
The following is a theoretical powder X-ray diffraction pattern of B2C3. It was derived from DFT lattice parameters and positions (PBE), using Cu Ka.

Peak list (5 most intense, 5 to 70 degrees two-theta, in order of rising 2θ)
| 2θ/deg | d/Å | I (rel.) |
| --- | --- | --- |
| 21.0 | 4.221 | 2.1 |
| 28.5 | 3.132 | 1.5 |
| 29.9 | 2.985 | 1.3 |
| 41.8 | 2.161 | 100.0 |
| 48.2 | 1.888 | 0.5 |

Cell and atoms:
```
10
Lattice="-2.9849 2.9849 1.8392 2.9849 -2.9849 1.8392 2.9849 2.9849 -1.8392" Properties=species:S:1:pos:R:3 pbc="T T T"
B 2.3798 1.1842 -0.0112
B 1.8007 -0.6051 1.8505
B 1.1842 3.5900 0.0112
B 0.6051 1.8007 1.8280
C 0.0000 0.0000 0.0000
C 3.5347 1.8466 -0.9538
C 2.9849 0.0000 0.9196
C -0.5498 1.1383 0.8854
C 1.8466 2.4351 0.9538
C 1.1383 0.5498 2.7930
```



Record 2
The following is a theoretical powder X-ray diffraction pattern of SrY2TiW. It was derived from DFT lattice parameters and positions (PBE), using Cu Ka.

Peak list (10 most intense, 5 to 70 degrees two-theta, in order of rising 2θ)
| 2θ/deg | d/Å | I (rel.) |
| --- | --- | --- |
| 15.8 | 5.626 | 26.9 |
| 22.3 | 3.978 | 10.7 |
| 29.3 | 3.044 | 100.0 |
| 31.8 | 2.813 | 62.0 |
| 38.1 | 2.364 | 18.9 |
| 45.6 | 1.989 | 22.5 |
| 50.4 | 1.810 | 33.3 |
| 55.2 | 1.665 | 34.0 |
| 60.9 | 1.522 | 18.7 |
| 63.5 | 1.465 | 11.1 |

Cell and atoms:
```
5
Lattice="5.6256 0.0000 0.0000 0.0000 5.6256 0.0000 0.0000 0.0000 4.7289" Properties=species:S:1:pos:R:3 pbc="T T T"
Sr 0.0000 0.0000 0.0000
Y 0.0000 2.8128 2.3645
Y 2.8128 0.0000 2.3645
Ti 2.8128 2.8128 2.3645
W 2.8128 2.8128 0.0000
```



Record 3
The following is a theoretical powder X-ray diffraction pattern of TlCdIr. It was derived from DFT lattice parameters and positions (PBE), using Cu Ka.

Peak list (10 most intense, 5 to 70 degrees two-theta, in order of rising 2θ)
| 2θ/deg | d/Å | I (rel.) |
| --- | --- | --- |
| 18.7 | 4.737 | 8.7 |
| 24.6 | 3.612 | 6.4 |
| 36.4 | 2.466 | 100.0 |
| 36.6 | 2.456 | 96.5 |
| 40.2 | 2.241 | 74.2 |
| 41.3 | 2.188 | 5.0 |
| 46.5 | 1.954 | 25.2 |
| 58.0 | 1.590 | 13.1 |
| 58.4 | 1.579 | 11.6 |
| 63.1 | 1.473 | 39.5 |

Cell and atoms:
```
3
Lattice="-1.5897 1.9538 4.7373 1.5897 -1.9538 4.7373 1.5897 1.9538 -4.7373" Properties=species:S:1:pos:R:3 pbc="T T T"
Tl 0.0000 0.0000 0.0000
Cd 0.0000 0.0000 2.9554
Ir 0.0000 0.0000 6.2750
```



Record 4
The following is a theoretical powder X-ray diffraction pattern of GaGeB. It was derived from DFT lattice parameters and positions (PBE), using Cu Ka.

Peak list (10 most intense, 5 to 70 degrees two-theta, in order of rising 2θ)
| 2θ/deg | d/Å | I (rel.) |
| --- | --- | --- |
| 31.9 | 2.803 | 100.0 |
| 32.1 | 2.792 | 89.5 |
| 33.5 | 2.675 | 65.3 |
| 35.8 | 2.508 | 87.0 |
| 36.6 | 2.454 | 31.4 |
| 43.1 | 2.097 | 37.8 |
| 46.8 | 1.942 | 32.6 |
| 49.7 | 1.835 | 27.0 |
| 50.6 | 1.805 | 27.1 |
| 53.1 | 1.726 | 32.1 |

Cell and atoms:
```
6
Lattice="3.0759 0.0000 0.0000 -0.5877 5.4098 0.0000 -0.6191 -1.8595 5.6061" Properties=species:S:1:pos:R:3 pbc="T T T"
........
He has served on the Medical School Admissions Committee and interviewed many highly qualified applicants for medical school.
He has lectured nationally on interview success and medical professionalism.
He is the author of the best-selling books The Medical School Interview and The MMI (Multiple Mini Interview).
He has advised hundreds of students, and his advisees have been accepted to medical schools in almost every state in the United States.